ntercessor:  Dear Lord of Compassion, we open our hearts to you in prayer for the world ,every day,  in the name of our savior, Jesus Christ.  May your churches throughout the world be inspired and guided through your Holy Spirit, with compassion for service to others.  You call us to offer food to the hungry, shelter to the homeless, aid to the injured, and safety for families and children.

Let the light of Jesus shine through us, to rise in the darkness with the Lord as our guide. 

Dear Lord of Steadfast Love, Bless all who enter your Emmanuel Parish. May they find you Lord, however they may seek your peace, in our service, concerts, labyrinth, prayer and meditation, or to rest in the beauty of this place of peace.  Bless our dear Fr. Berto, and Fr. Hugh, our Bishop elect Philip, Presiding Bishop Sean, and all who serve in our mission to love God, God’s creation, and our neighbors as ourselves. 

Lord of love and mercy, bless each of us in healing our own infirmities, as we seek guidance in compassionate service to others as Jesus Christ taught us..

Lord of great kindness, bring resolution to the world in crisis. We pray for all people seeking safety for their families, fleeing from danger and atrocities. Bring all nations uprightness of heart toward you, and turn leaders away from war, anger and hatred, into wise discernment between goodness and evil. We pray for your hand to be on the hearts and minds of all leaders to seek peace.

Lord of Power and Might, make us leaders for peace in the world, walking in your ways, and understanding to discern what is right. 

Lord of great steadfast love, Comfort prisoners and captives, the hungry and homeless, and all who suffer in body, mind or spirit. We pray for each person in need of your healing and peace, whether from illness, pain, loss or addiction, especially those we name on our Prayer List:   and those for whom no one prays.

Lord of Steadfast Love, bless those we carry in our hearts, and bring your renewal, healing and peace to each one.   We are all equally your children.

Lord of Creation, We pray for your beautiful natural world we depend on: clean air and water, the healing forests, and oceans. 

Lord of Power and Might, give all nations the wisdom, will and purpose to discern between truth and untruth, good and evil, to act with intention to urgently conserve this good earth, our home. 

Lord of Gracious Compassion, We pray for the helping professionals and volunteers who put themselves at risk to serve others, in the tumultuous war torn regions, and the rapidly occurring flooding, fires, and weather events around the world.

**Records of crystals that have nothing to do with the text:**
........
[1]
Below is Sr3Ru3N5 after structural relaxation, with properties calculated at the PBE level.

Properties
The total magnetization comes out at 0.0 μB per formula unit.

The structure in CIF format:
```
data_Sr3Ru3N5
_cell_length_a 5.904
_cell_length_b 7.272
_cell_length_c 9.339
_cell_angle_alpha 110.73
_cell_angle_beta 104.86
_cell_angle_gamma 93.50
_space_group_name_H-M_alt 'P -1'
_space_group_IT_number 2
loop_
_space_group_symop_operation_xyz
'x,y,z'
'-x,-y,-z'
loop_
_atom_site_label
_atom_site_type_symbol
_atom_site_fract_x
_atom_site_fract_y
_atom_site_fract_z
Sr1 Sr 0.158 0.363 0.389
Sr2 Sr 0.160 0.192 0.712
Sr3 Sr 0.323 0.923 0.117
Ru1 Ru 0.155 0.424 0.090
Ru2 Ru 0.396 0.825 0.472
Ru3 Ru 0.406 0.627 0.792
N1 N 0.137 0.587 0.861
N2 N 0.241 0.037 0.418
N3 N 0.316 0.200 0.002
N4 N 0.339 0.737 0.630
N5 N 0.416 0.609 0.282
```


[2]
Below is LiTiAsO5 after structural relaxation, with properties calculated at the PBE level.

The structure in CIF format:
```
data_LiTiAsO5
_cell_length_a 7.653
_cell_length_b 6.663
_cell_length_c 7.587
_cell_angle_alpha 90.00
_cell_angle_beta 90.00
_cell_angle_gamma 90.00
_space_group_name_H-M_alt 'P n m a'
_space_group_IT_number 62
loop_
_space_group_symop_operation_xyz
'x,y,z'
'-x,-y,-z'
'-x+1/2,-y,z+1/2'
'x+1/2,y,-z+1/2'
'x+1/2,-y+1/2,-z+1/2'
'-x+1/2,y+1/2,z+1/2'
'-x,y+1/2,-z'
'x,-y+1/2,z'
loop_
_atom_site_label
_atom_site_type_symbol
_atom_site_fract_x
_atom_site_fract_y
_atom_site_fract_z
Li1 Li 0.000 0.000 0.000
Ti1 Ti 0.166 0.250 0.277
As1 As 0.127 0.750 0.373
O1 O 0.064 0.250 0.508
O2 O 0.117 0.750 0.837
O3 O 0.126 0.545 0.237
O4 O 0.189 0.250 0.003
```


[3]
Below is EuCO3 after structural relaxation, with properties calculated at the PBE level.

The structure in CIF format:
```
data_EuCO3
_cell_length_a 6.072
_cell_length_b 5.174
_cell_length_c 8.500
_cell_angle_alpha 90.00
_cell_angle_beta 90.00
_cell_angle_gamma 90.00
_space_group_name_H-M_alt 'P n m a'
_space_group_IT_number 62
loop_
_space_group_symop_operation_xyz
'x,y,z'
'-x,-y,-z'
'-x+1/2,-y,z+1/2'
'x+1/2,y,-z+1/2'
'x+1/2,-y+1/2,-z+1/2'
'-x+1/2,y+1/2,z+1/2'
'-x,y+1/2,-z'
'x,-y+1/2,z'
loop_
_atom_site_label
_atom_site_type_symbol
_atom_site_fract_x
_atom_site_fract_y
_atom_site_fract_z
Eu1 Eu 0.244 0.250 0.084
C1 C 0.087 0.250 0.741
O1 O 0.087 0.032 0.818
O2 O 0.098 0.250 0.588
```


[4]
Below is P2Se5 after structural relaxation, with properties calculated at the PBE level.

The structure in CIF format:
```
data_P2Se5
_cell_length_a 7.200
_cell_length_b 22.239
_cell_length_c 6.185
_cell_angle_alpha 90.00
_cell_angle_beta 114.52
_cell_angle_gamma 90.00
_space_group_name_H-M_alt 'P 1 21/c 1'
_space_group_IT_number 14
loop_
_space_group_symop_operation_xyz
'x,y,z'
'-x,-y,-z'
'-x,y+1/2,-z+1/2'
'x,-y+1/2,z+1/2'
loop_
_atom_site_label
_atom_site_type_symbol
_atom_site_fract_x
_atom_site_fract_y
_atom_site_fract_z
P1 P 0.218 0.052 0.306
P2 P 0.222 0.164 0.678
Se1 Se 0.057 0.686 0.159
Se2 Se 0.065 0.604 0.423
Se3 Se 0.223 0.061 0.675
........

Lord of Power and Might, protect and sustain these men and women in their call to service, and all who serve for the good of others.

Lord of loving kindness, We pray for those who have died. May they be joyfully shining in your heavenly light.

Bless those who grieve the loss of loved ones. Hold each one close in your comfort dear Lord.

Lord of eternal goodness, nourish us with an understanding mind, to discern between good and evil. Graft in our hearts the love of your name, with all our soul, and all that is within us.. 

We pray with gratitude Lord, in the name of Jesus Christ, to walk in the goodness of your ways, in our hearts, minds and intentions.
